Pogledaj cijelu verziju : Firefox Bookmarks [RJEŠENO]

Attached: quantum chemistry results:
********
No. 1
14
Properties=species:S:1:pos:R:3 method="wB97M-V/def2-TZVPD" total_charge=-1 homo_lumo_gap_ev="6.68 / 6.68" energy_ev=-7811.092 de_lowest_kj_mol=225.4
C -2.00870 -0.94290 -0.30942
C -1.45257 0.31238 -0.18431
C 2.06875 -0.10488 -0.38335
C 1.25648 -0.65430 0.56522
N -0.61005 0.64190 0.84277
O -0.00517 1.89400 0.56909
H -2.98287 -1.14362 -0.88451
H -1.51389 -1.70446 0.31226
H -1.78567 1.21242 -0.74689
H 2.78329 0.67856 -0.02015
H 1.49237 0.16893 -1.27873
H 0.60892 1.67175 -0.27847
H 0.49542 -1.33568 0.23392
H 1.65368 -0.69409 1.56257



No. 2
110
Properties=species:S:1:pos:R:3 method="wB97M-V/def2-TZVPD" total_charge=0 homo_lumo_gap_ev=7.25 energy_ev=-224421.776 de_lowest_kj_mol=0.0
Li -0.76203 0.94831 1.08732
C 2.12306 -0.66664 4.09696
C 1.69484 -0.05818 5.26483
C 0.71751 0.91963 5.19384
C 0.18849 1.24489 3.94999
N 0.58091 0.63781 2.83017
C 1.53539 -0.28037 2.90240
C -0.83914 2.30744 3.76204
C -1.20358 3.20932 4.75505
C -2.13230 4.18728 4.44389
C -2.66547 4.24728 3.16797
C -2.25143 3.30152 2.23518
N -1.36597 2.36383 2.54377
C -2.72560 3.26800 0.81990
C -3.77940 4.04909 0.36285
C -4.13078 3.97646 -0.97642
C -3.42298 3.13092 -1.81068
C -2.39730 2.37301 -1.26194
N -2.05751 2.43437 0.01770
H 2.89219 -1.42589 4.10483
H 2.11844 -0.33812 6.22043
H 0.35973 1.40358 6.09067
H 1.84173 -0.71092 1.95717
H -0.76538 3.16350 5.74054
H -2.43130 4.90970 5.19201
H -3.37018 5.02240 2.90527
H -4.32376 4.69643 1.03485
H -4.94945 4.57227 -1.35823
H -3.66083 3.04050 -2.86105
H -1.83742 1.67016 -1.86500
Se 2.89776 -1.40577 -4.85756
P 3.00446 0.20551 -3.50091
C 2.70442 1.81411 -4.30399
C 2.85935 3.00140 -3.58875
C 2.60970 4.21530 -4.20665
C 2.19790 4.25324 -5.53329
C 2.04254 3.07368 -6.24421
C 2.30020 1.85452 -5.63211
C 4.66875 0.32360 -2.79079
C 5.65976 1.02879 -3.46141
C 6.96093 1.02587 -2.98088
C 7.27711 0.30886 -1.83769
C 6.29046 -0.40803 -1.17374
C 4.98961 -0.40091 -1.64706
C 1.94095 0.25809 -2.03890
C 0.74354 -0.27300 -1.55259
N 0.53110 0.30696 -0.35428
N 1.52039 1.15638 -0.12508
N 2.37447 1.14750 -1.11688
P -0.46697 -1.47110 -2.12638
Se -2.38875 -1.16870 -1.29232
C -0.50475 -1.29997 -3.92050
C -0.63931 -2.41626 -4.73565
C -0.75528 -2.25824 -6.10689
C -0.75210 -0.98775 -6.66344
C -0.63609 0.12881 -5.84801
C -0.51063 -0.02580 -4.47843
C 0.20345 -3.12120 -1.75836
C 1.53176 -3.41450 -2.06492
C 2.04647 -4.66856 -1.78348
C 1.24058 -5.63597 -1.19512
C -0.07970 -5.34521 -0.88838
C -0.59935 -4.08810 -1.16576
H 3.15833 2.96600 -2.54870
H 2.73435 5.13464 -3.64970
H 2.00254 5.20440 -6.01166
H 1.72890 3.09885 -7.27980
H 2.20083 0.92567 -6.17999
H 5.41665 1.58140 -4.36077
H 7.72741 1.58334 -3.50276
H 8.29240 0.30724 -1.46331
H 6.53474 -0.96903 -0.28140
H 4.21830 -0.94970 -1.12157
H -0.63605 -3.40864 -4.30238
H -0.84172 -3.12881 -6.74306
H -0.83710 -0.86808 -7.73537
H -0.62814 1.12138 -6.27899
H -0.39811 0.84720 -3.84408
H 2.16011 -2.67511 -2.54765
H 3.07615 -4.88919 -2.03248
H 1.64351 -6.61681 -0.97789
H -0.70977 -6.09281 -0.42405
H -1.62698 -3.84828 -0.92382
********
The page goes on:

09-03-2008, 18:50
Ovak problem je taj da su mi NESTALI SVI bookmarksi, neam pojma kako, bio sam vani vozikal se na bicu i sestra zove, "dodji doma msn mi je izbacil van" rekoh sigurno je pukla veza, pa nezna kaj bi napravila, što zapravo i je pukloa veza, i sad dobim vezu i odem na net kad ono sastrane Bookmarks bar prazan, nema niš !!! Sad ako su mi se izbrisali svi bookmarksi a hebemu nisu valjda, jel fakat neznam kako po kojoj fori, jel zna netko kako to riješit, jel sma imal preko 200 bookmarkova koji su mi glave važni :pray: pomagajte, zaboravih nadodat da je sestra slala pjesmu preko MSN-a i da joj je onda izbacilo i pukla veza

probal sam ona Sys Restor ali ništa

The Boz
09-03-2008, 18:57
It happens. Noone knows why. I use Opera now. I am happy.

09-03-2008, 18:57
daj me nemoj hebat da se to može samo tak desit da nestanu :shock: :cry:

09-03-2008, 19:31
daj me nemoj hebat da se to može samo tak desit da nestanu :shock: :cry:
bez razloga mi je neki dan nestalo preko 60 bookmarka...ali apsolutno bez razloga...sva sreća pa radim back-up svakih par dana...

e Bogami i ja ću počet, lok dis šit rajt now :-x :shock: :cry:

The Boz
09-03-2008, 19:39
...Opera je bolja.

09-03-2008, 23:07
...Opera je bolja.

and only lusers need a reason ^^

10-03-2008, 04:52
kako se radi taj backup bookmarksa u FF?

10-03-2008, 07:55
...Opera je bolja.

**Quantum chemistry results, as found in the file:**
<<<
# 1
{"formula": "C5H14AuClFeO", "method": "wB97M-V/def2-TZVPD", "e_tot_ev": -58053.017, "multiplicity": 8, "e_above_lowest_kcal_mol": 62.4, "largest_force_ev_per_a": 2.7, "charge": -1, "gap_ev": [4.711, 2.547], "s_squared": 15.78, "symbols": ["Au", "Cl", "C", "H", "H", "H", "Fe", "C", "C", "C", "H", "H", "H", "H", "H", "H", "H", "H", "C", "O", "H", "H", "H"], "positions_angstrom": [[-0.848, 1.739, 0.765], [-0.903, 3.675, -0.477], [-2.291, 0.270, 0.382], [-2.234, -0.520, 1.113], [-2.147, -0.057, -0.648], [-3.225, 0.852, 0.463], [0.816, -0.476, -2.791], [2.413, 0.614, -2.981], [-0.783, -0.306, -3.950], [0.930, -2.094, -2.016], [-1.330, -1.250, -3.947], [-1.407, 0.520, -3.630], [-0.372, -0.121, -4.956], [3.291, 0.040, -2.583], [2.540, 0.799, -4.055], [2.305, 1.577, -2.427], [0.152, -2.855, -2.314], [1.904, -2.560, -1.869], [0.323, -0.002, 3.259], [-0.629, 0.671, 2.478], [-0.213, 0.039, 4.217], [1.323, 0.469, 3.346], [0.385, -1.022, 2.888]], "lowdin_spin": [0.5682, 0.1603, 0.3684, 0.0262, 0.0304, 0.0234, 3.8494, 0.1345, 0.1346, 0.5696, 0.0182, 0.0248, 0.0202, 0.0216, 0.0221, 0.0264, 0.0779, 0.0833, 0.0760, 0.7109, 0.0050, 0.0122, 0.0364]}

---

# 2
{"formula": "C5H14BN3O6", "method": "wB97M-V/def2-TZVPD", "e_tot_ev": -22836.316, "multiplicity": 1, "e_above_lowest_kcal_mol": 0.0, "largest_force_ev_per_a": 1.3, "charge": -2, "gap_ev": 4.223, "symbols": ["N", "C", "C", "B", "C", "O", "O", "H", "H", "H", "H", "H", "H", "H", "H", "C", "N", "O", "O", "H", "H", "H", "C", "N", "O", "O", "H", "H", "H"], "positions_angstrom": [[3.113, -1.378, -0.474], [1.779, -0.946, 0.074], [0.571, -1.572, -0.591], [-0.874, -0.895, -0.089], [-2.044, -2.021, 0.259], [-2.361, -2.898, -0.608], [-2.608, -1.968, 1.424], [2.902, -2.038, -1.218], [3.601, -1.924, 0.228], [1.754, -1.182, 1.144], [1.730, 0.146, -0.005], [0.575, -2.654, -0.392], [0.695, -1.455, -1.681], [-1.318, -0.209, -1.023], [-0.747, -0.196, 0.894], [1.842, 1.696, -2.405], [0.355, 1.595, -2.446], [-0.123, 0.700, -3.099], [-0.255, 2.415, -1.786], [2.250, 0.898, -3.014], [2.108, 2.682, -2.780], [2.140, 1.588, -1.366], [-2.634, 0.918, 2.738], [-1.534, 1.946, 2.691], [-0.491, 1.536, 2.261], [-1.778, 3.099, 3.040], [-2.245, -0.027, 2.331], [-2.960, 0.843, 3.773], [-3.440, 1.299, 2.117]], "nbo_charge": [-0.8914, -0.1988, -0.6415, -0.3049, 0.6399, -0.8611, -0.9069, 0.3455, 0.3283, 0.1699, 0.1456, 0.1910, 0.1679, -0.0687, -0.0722, -0.4856, 0.5380, -0.3441, -0.3920, 0.2222, 0.1986, 0.2499, -0.5148, 0.5369, -0.3151, -0.4809, 0.3388, 0.1892, 0.2163]}

---

# 3
>>>

and only lusers need a reason ^^
Probao sam Operu. Sad sam na Firefoxu.

Lisica ftw :)

10-03-2008, 09:48
Recovering Your Firefox Bookmarks

This is documented elsewhere, but perhaps comes across as too nerdy for some. If you’re using Windows XP, recovering from a crash or whatever, and find that your Firefox bookmarks (and bookmarklets and bookmark toolbar) have disappeared, here’s what to do:

* Find your profile in c:\Documents and Settings\[your XP user name]\Application Data\Mozilla\Firefox\Profiles
* There should be a subfolder there called bookmarkbackups. Find the most recent bookmarks html file in there (usually with a date after the ‘bookmarks’ bit.
* Copy it to somewhere safe and rename the existing one bookmarks.html.
* Copy it to the default profiles folder (up one level from the bookmarkbackups folder, deleting the existing bookmarks.html file.
* Close Firefox if it’s running and launch it. Your old bookmarks should be restored.

(And, while I'm at it, here's a solution if your Firefox browser refuses to remember any of your changed settings in toolbars etc when you close it, resetting everything back to what it was before. The same bug -- likely to be fixed soon -- also deletes your search engines in the search box to the right of the address box. This fix will fix both problems:

* Locate the localstore.rdf file in the same place as above.
* Delete it.
* Restart Firefox. You should be good to go.



10-03-2008, 12:41
o tnx amd baš je to i meni trebalo, meni nisu full važni ali bi bilo grozno sada to ponovo upisivati.

10-03-2008, 14:20
@ amd-freak :pray: neću više ništa reći :D